? Face Social Boycott

[Following is a report of the People’s Union for Civil Liberties (PUCL) fact finding team on Social Boycott imposed on a community of Bijapur district.]

Kadakola, A small village near Basavanabagevadi in Bijapur district is in the news for the past few months for reasons not so encouraging. Chalavadi community, a lower in the hierarchy is facing a social boycott from the upper caste and , also a dalit community, for having used the tank water in the village.

Before the formation of Karnataka state Bijapur was a part of Mumbai province and even today one can visualize the cultural, Socio-economic moorings of the erstwhile Mumbai province in this region. The land owning pattern and the feudal system has not changed much since the British period and the social relations have, since the times of Peshwas, the maratha rulers, protected the Hindu caste hierarchy. Ironically the village Kadakola is situated 30 km away from Basavanabagevadi, the birth place of Basavanna, the 12th century social reformer, who fought against the caste system within the hindu fold. But this region has not seen any anti-caste movement nor any OBC movement and the land reforms implemented in 1970s by the Devaraj Urs government has had no effect here. There has been no effort whatsoever to disturb the socio-economic relations of the region throughout the history. And one cannot find any social or ideological tendencies here, with Dalit movement being weak and left parties having almost no support base.

But the region has a history of atrocities against the Dalits. Sasanur, a nearby village was a centre of caste conflagration in 1946 when more than 50 lower caste people were burnt alive. Dr B R Ambedkar visited the place after the incident. In 1979 a relative of local MLA had raped a Chalavadi girl and the incident was hushed up with a compensation of Rs.50/-. The infamous Dev- dasi system, once prevalent here is not found now.

It all started on 25th of July 2006 when Cahalavadi Ramanna, the president of ‘‘Forum for Protection of Human Rights of Untouch-ables’’ gave a press statement that the Chalavadi dalits of Kadakola, who are being prevented from using the tank water for drinking purpose for centuries, would break the tradition on 25th of July and would directly access the water themselves, as against the system of two intermediary caste people (Vaddas and Bhajanthris), pouring water to them from a distance. The district administration immediately went into action and some dalit children were made to lift water from the tank. This incident infuriated the upper caste people and they along with Madigas, also a dalit community, imposed a social boycott on the Chalavadi community, which virtually meant not engaging them on daily wages, no access to shops and flour mills and any public services and facilities available. More than anything else the tank water was polluted to avoid Chalavadi dalits using it.

On 17th of October 2006 Justice Sadashiva Commission, appointed by the state to study violations in implementation of statutory rights of SCs and STs, was camping in Bijapur and the Chalavadi dalits of Kadakola conducted a sit-in demonstration in front of the commission’s office , protesting against the social boycott imposed on them. Justice Sadashiva promised the protesters of intimating the same to the government for further action.

But much damage had already been done in the village. The Chalavadis were denied jobs from 25th of July itself, they had no access to any shops to buy their daily needs, and the families were starving for months. Muniyappa, a 75- year-old bonded labour working for a landlord for the past 25 years, for a mere 2 quintals of jowar per year, was kicked out from the job. Temples and government corridors were closed for them and the students were barred from taking part in any functions of the school. The three doctors in the village refused to attend to Chalavadi dalit patients and the government hospital was open to them from 25th October 2006. After these incidents appeared in the press, many groups and parties visited the village. The prominent among them being Maruti Manpade of CPI-M, Dhimathi Kaladagi of KRRS, Lakshmana Banahatti of . They could find out that even though more than 40 cases of atrocities have been reported in the village, the government’s “Committee against atrocities on SC- ST” has never paid a visit to the place and no minister has visited the village. The above groups apprehended the fear of torching of Chalavadi colony by the upper and demanded for withdrawal of the boycott and providing jobs to the community people immediately. All these groups planned for a March to DC office at Bijapur on 4th November 2006.

........
# 1
DFT (ωB97M-V/def2-TZVPD) results for a structure of composition H8Na5O5 in a non-equilibrium geometry.

```
18
Properties=species:S:1:pos:R:3:nbo_charge:R:1
Na -0.19 -1.34 2.74 0.967
Na 1.59 1.38 1.40 0.992
Na -2.97 -0.12 1.62 0.945
Na -1.57 -1.48 -1.03 0.977
Na -1.69 2.11 -0.24 0.986
O -0.56 0.38 1.01 -1.391
H -0.07 -0.14 0.35 0.407
O -2.00 0.08 3.82 -1.217
H -1.56 0.23 2.99 0.300
O 2.39 0.61 -0.87 -0.984
H 3.04 0.96 -1.51 0.538
H 1.80 0.08 -1.40 0.451
O -0.60 1.37 -2.53 -0.975
H -1.14 1.43 -3.34 0.528
H -0.15 0.53 -2.59 0.459
O 0.96 -2.28 0.00 -0.943
H 0.99 -1.88 -0.87 0.453
H 1.75 -1.92 0.44 0.506
```

Results
Energy relative to the best compared isomer or geometry (same formula, charge and spin), kJ/mol: 145.8
Net charge: +3
Kohn-Sham gap, eV: 4.96

=====

# 2
DFT (ωB97M-V/def2-TZVPD) results for a cluster of 4 separate species, H8O3S2 in total in a non-equilibrium geometry.

```
13
Properties=species:S:1:pos:R:3:nbo_charge:R:1
S 1.43 -0.44 0.71 -0.122
S 0.14 1.11 1.40 -0.173
H 1.18 -0.03 -0.53 0.160
H -0.76 0.40 2.04 0.154
O 0.87 -0.03 -2.69 -0.976
H -0.06 -0.03 -2.45 0.490
H 0.88 -0.04 -3.65 0.472
O -1.48 0.56 -1.40 -0.983
H -1.74 1.35 -1.89 0.486
H -1.00 0.83 -0.62 0.494
O -1.97 -1.57 0.61 -0.962
H -1.39 -2.36 0.64 0.474
H -2.02 -1.29 -0.31 0.486
```

Results
SMILES: SS.O.O.O
Energy relative to the best compared isomer or geometry (same formula, charge and spin), kJ/mol: 14.7
Net charge: 0
Kohn-Sham gap, eV: 9.36

=====

{"formula": "C5H8O2", "method": "ωB97M-V with the def2-TZVPD basis set", "multiplicity": 1, "homo_ev": [-7.280, -7.282], "homo_lumo_gap_ha": [0.266, 0.266], "de_lowest_ev": 5.1271, "charge": 0, "symbols": ["C", "C", "C", "C", "O", "C", "O", "H", "H", "H", "H", "H", "H", "H", "H"], "positions_angstrom": [[0.55066, 0.42292, -1.19249], [0.26324, 0.05777, 0.22049], [-0.31010, 0.92637, 1.29078], [1.04410, 0.27189, 1.47589], [-0.27501, -1.30734, 0.15228], [-0.82559, -1.52579, -1.00635], [-1.73431, -0.85248, -1.67390], [0.32883, 1.47449, -1.41798], [-1.31593, 0.04596, -1.71506], [1.58284, 0.20500, -1.48214], [-0.35611, 1.99452, 1.09505], [-1.12712, 0.53766, 1.89262], [1.93776, 0.88322, 1.38936], [1.10604, -0.53912, 2.19679], [-0.86930, -2.59507, -1.22534]], "atomic_forces_ev_per_a": [[0.2448, 0.1748, 0.0907], [0.0068, 0.1374, -0.0079], [-0.1843, 0.1150, 0.0228], [0.1817, -0.0486, 0.0412], [-0.0888, -0.0846, -0.2804], [-0.1716, -0.2062, 0.2132], [0.2264, 0.0619, 0.1433], [0.0178, -0.1565, 0.0030], [-0.0989, 0.0066, -0.0006], [-0.1348, 0.0060, 0.0306], [0.0102, -0.1913, 0.0051], [0.1330, 0.0282, -0.1170], [-0.1656, -0.0811, -0.0044], [-0.0262, 0.1214, -0.1267], [0.0496, 0.1173, -0.0129]]}

---
........

In this backdrop the PUCL team visited Kadakola on 27-28th October 2006. The village is situated on the banks of River Doni, with black soil suitable for growing cotton, Jowar and other dry crops. There are 500 houses in the village of which 86 are of Chalavadi dalits, 50 Reddy lingayats (veersahaivas), 50 Ganigas, 30 Talvars, 40 Madigas and 40 Muslims, as told by Mallikarjuna Chala-vadi, who says that the Reddy-Lingyats own majority of land holdings. Neither Madigas nor Chalavadis own any land, though 2-3 years back government had disbursed some land to 4-5 dalits. Among Chalavadis some 30 youth have studied upto 10th standard, 8 of them being girls. As the borewell water in the village is salty, all dalits depend on the tank water for drinking purpose. Untouch-ability is being practiced in several ways here, apart from the present boycott. When the upper castes cross the river, the untouchables, i.e., Chalavadis, are supposed to carry their slippers to the other end of the river. The wages paid to the agricultural labours are Rs.30-40 for men and 12- 20 for women.

After Ramanna Chalavadi gave the press statement, all the upper castes and the Madigas assembled in a temple and decided unanimously to impose social boycott on the Chalavadi dalits. “The government has paid compensation for 15 days, now we don’t have any work on hand nor any government help. The DC is speaking of compromise settlement but to no avail. We are unable to fetch any provisions. Two upper caste men have been booked under atrocity case for having beaten Mr.Chayappa with slippers, and they are infuriated. But no case has been booked against those imposing boycott, for more than 3 months we are starving and surviving on assistance from relatives. The BJP MLA Shivaputra Desai is advising us to compromise, but we are not being compensated nor do we have a penny on hand, there are no telephone facilities for us. We have all voted to these parties and candidates and Taluk panchayat member of Telgi Nyamannanavar, president Srimantha Hallagi belong to our village, but his brother Ningappa Basantharappa Hallagi is the man behind the boycott, both these brothers are united against us and all these leaders belong to the reddy-lingayat community” so narrates Smt. Chalavadi Yamunamma.

Sangappa Shivappa says ‘We are afraid of our houses being torched and so we keep awake throughout the nights. Madigas are also using the tank water but they have joined with the upper castes. More than 70 muslim families in the villages have stood by us and they have saved us from attacks from upper castes. The village is still haunted by the spectre of caste discrimination. On the Dipavali day a 10-year-old Chalavadi boy was driven out from a cracker shop calling him an untouchable.”

Muniyappa Chalavadi had more to say, “We are afraid the 60-year-old Sasanur incident may repeat here as the upper castes are threatening us of torching our houses. Today there are no Chalavadis in Sasanur. If we were to live happily we should be shifted to the other side of the river near Allamaprabhu temple,otherwise we should be given poison’’ says Muniyappa sadly.

When the team met Mr Srimanth Allagi, the president of Taluk Panchayat, who belongs to the reddy- lingayat community, he said, “We have advised all the villagers to live in harmony” and by that time a news of fire at Kadakola made him fly from the scene.

Then the team proceeded to Basavanabagevadi and met Tahasil-dar Mr M R Reddy, who, after hearing us said that ‘‘the administration has given job for the affected people worth one lakh rupees and 10kgs of rations is being provided to each family’’. Visiting team members were also told that Atrocity case has been booked against 2 persons. When questioned “Why no such case has been filed against those imposing the boycott’’ the Tahasildar told the team that they were trying for a compromise settlement amicably.

Then the team met the DC at Bijapur and he said the administration had taken steps to give jobs for the Chalavadis. When questioned about filing of cases against the perpetrators of crimes, the DC said “He has not received any complaints”. To the team’s observation that the upper castes of Kadakola had not stood by their promise of withdrawing boycott, as assured to the DC and the district administration has not taken any steps to file a case against the perpetrators of the crime during the past three months, the DC had a ready answer ‘‘We are trying to solve the problem amicably through negotiations”. In fact the DC tried to pass on the blame on outsiders, i.e., Dalit leaders from outside, for creating all the trouble. But on October 28, ’06 the Dalits of Kadakala were found to have lost much enthusiam because of hunger and reprisal. ????